General Conference
How Will United Women in Faith be Present at General Conference?
United Women in Faith will be at General Conference. Here’s how.
Between two parts of the entry: records of molecules >
Entry 1:
This record from the OMol25 dataset describes a structure of composition C16H24Br2O2PdSe2. The level of theory is ωB97M-V/def2-TZVPD.

Geometry as XYZ:
```
47
Properties=species:S:1:pos:R:3:nbo_charge:R:1
Pd -1.332 0.687 -1.696 0.699
Br -3.665 1.624 -2.439 -0.764
C -1.779 -0.892 -2.903 -0.660
Br -0.950 -2.648 -2.688 -0.119
H -1.466 -0.584 -3.912 0.191
H -2.850 -1.124 -2.915 0.197
O 4.528 2.561 -0.525 -0.754
C 3.367 3.377 -0.639 -0.052
C 2.117 2.560 -1.039 -0.162
C 2.036 1.298 -0.162 -0.090
O 2.456 1.472 1.174 -0.738
C 2.323 2.168 -2.502 -0.560
Se 0.929 1.115 -3.389 -0.365
C 0.919 3.504 -0.868 -0.559
Se -0.855 2.780 -0.406 -0.327
H 5.294 3.072 -0.792 0.463
H 3.525 4.157 -1.391 0.158
H 3.188 3.869 0.328 0.160
H 2.638 0.506 -0.631 0.155
H 0.995 0.958 -0.110 0.243
H 3.400 1.662 1.140 0.460
H 3.237 1.573 -2.580 0.199
H 2.449 3.078 -3.103 0.184
H 0.784 4.077 -1.789 0.204
H 1.118 4.210 -0.056 0.192
C -2.863 -0.180 0.980 -0.618
C -1.459 -0.807 1.022 -0.221
C -0.638 -0.080 2.120 -0.610
C -0.800 -0.658 -0.313 -0.256
C -1.481 -2.287 1.396 0.031
C -0.329 -3.062 1.258 -0.141
C -0.303 -4.390 1.635 -0.237
C -1.424 -4.990 2.188 -0.253
C -2.572 -4.236 2.332 -0.222
C -2.602 -2.908 1.945 -0.226
H -2.768 0.870 0.678 0.247
H -3.343 -0.196 1.959 0.179
H -3.498 -0.698 0.258 0.219
H -0.603 0.987 1.901 0.248
H 0.383 -0.455 2.156 0.204
H -1.105 -0.226 3.095 0.180
H 0.200 -1.089 -0.413 0.129
H 0.565 -2.633 0.831 0.211
H 0.608 -4.960 1.505 0.193
H -1.398 -6.025 2.507 0.189
H -3.457 -4.680 2.769 0.189
H -3.519 -2.357 2.081 0.210
```

Computed properties:
F_max   0.9 eV/A
Total charge   -2
Gap between HOMO and LUMO (spin up / spin down)   5.105 / 5.350 eV
Energy above the lowest of the compared OMol25 structures with the same formula, charge and spin   8.08 kcal per mole
2S+1   3
E_HOMO (spin up / spin down)   -0.71 / -0.96 eV
E_tot   -10853.2814 Ha

---

Entry 2:
This record from the OMol25 dataset describes a structure of composition C16H24CaN8. The level of theory is ωB97M-V/def2-TZVPD.

Geometry as XYZ:
```
49
Properties=species:S:1:pos:R:3:nbo_charge:R:1
Ca -0.026 -0.676 0.023 1.995
C 8.035 1.568 -0.784 -0.701
C 6.728 1.179 -0.060 0.323
N 5.752 0.882 0.445 -0.403
H 8.076 2.652 -0.675 0.260
H 8.074 1.113 -1.774 0.261
H 8.870 1.121 -0.245 0.260
C 3.553 -7.976 -2.314 -0.737
C 3.118 -6.851 -1.540 0.331
N 2.784 -5.895 -0.936 -0.398
H 3.565 -7.598 -3.337 0.264
H 2.857 -8.813 -2.370 0.270
H 4.522 -8.269 -1.911 0.270
C -3.019 -2.898 -7.304 -0.721
C -2.435 -2.917 -5.927 0.334
N -1.944 -2.895 -4.902 -0.402
H -3.739 -2.084 -7.392 0.260
H -3.521 -3.841 -7.521 0.266
H -2.259 -2.619 -8.035 0.264
C -5.304 -5.517 4.193 -0.718
C -4.115 -4.874 3.546 0.335
N -3.239 -4.358 2.995 -0.408
H -5.479 -6.464 3.681 0.263
H -6.183 -4.906 3.990 0.262
H -5.112 -5.739 5.243 0.266
C -7.305 2.644 1.093 -0.735
C -6.289 1.745 0.509 0.334
N -5.455 1.125 0.035 -0.395
H -6.920 3.613 1.411 0.265
H -7.734 2.191 1.987 0.262
H -8.183 2.814 0.471 0.270
C 0.535 1.282 8.339 -0.729
C 0.524 1.101 6.904 0.333
The entry goes on >
by Tara Barnes
# C33H30BrCaIN8O2PS

C33H30BrCaIN8O2PS as an isolated structure at a distorted geometry (ωB97M-V/def2-TZVPD, the Open Molecules 2025 dataset).

Structure (XYZ):
```
78
Properties=species:S:1:pos:R:3:forces:R:3:mulliken_charge:R:1
Ca -1.3876 0.7902 -1.1014 1.24 1.07 1.69 2.5479
C -5.0888 -2.2863 0.6848 0.36 2.13 0.80 -0.8381
N -3.7399 -2.4584 1.2310 1.25 -0.32 0.88 0.1609
C -3.2367 -3.5250 1.9564 -2.49 0.63 -1.08 -0.0657
C -1.8860 -3.5161 1.7546 3.00 1.69 -0.39 -0.5041
N -1.4206 -2.3933 1.1170 -1.41 -1.63 0.71 -0.2448
C -2.5647 -1.7062 0.7943 -0.98 0.71 -0.70 0.2200
P -2.0573 0.2551 -4.8127 -1.20 0.98 -0.08 -0.3370
C -1.6410 -1.1093 -3.7767 1.35 -2.22 0.72 -0.0189
N -1.0144 -0.8907 -2.6163 -1.23 -2.23 -0.71 0.1708
C -0.7403 -2.1511 -2.1086 0.32 -0.63 0.27 -0.5811
C -1.0684 -3.1602 -2.9892 -0.67 1.71 -1.29 -1.0964
N -1.6653 -2.4666 -4.0951 0.35 0.52 1.05 0.1816
C -2.2285 -2.9605 -5.3828 0.63 0.06 1.26 -0.7334
C -3.3474 0.9624 -3.6547 -1.27 1.44 0.21 -0.0130
N -3.3153 1.2793 -2.3404 -1.34 -0.27 -1.00 -0.2102
C -4.5620 1.8648 -2.0268 1.69 -0.46 -0.11 -0.8233
C -5.3087 2.0031 -3.1372 1.07 -0.94 -1.21 -0.3418
N -4.5385 1.4260 -4.1868 -0.51 0.22 1.27 0.1291
C -5.0341 1.2607 -5.5442 -1.02 0.01 0.39 -0.9677
H -5.1872 -2.9286 -0.1437 -0.46 -1.06 -0.81 0.3519
H -5.8383 -2.4221 1.4691 0.13 -0.18 -0.29 0.3265
H -5.1934 -1.2449 0.2725 0.29 -0.91 0.65 0.2429
H -3.8052 -4.2719 2.5436 0.12 0.78 -0.76 0.4289
H -1.2079 -4.2830 2.0995 0.09 0.15 0.08 0.4319
H -0.3101 -2.2748 -1.1026 -0.19 0.09 -0.71 0.8411
H -0.8671 -4.2375 -2.9923 -0.37 0.68 0.03 0.4694
H -2.6307 -2.0713 -5.8361 -0.79 -0.06 -0.30 0.1864
H -1.4340 -3.2660 -6.0221 0.77 -0.41 -0.42 0.3627
H -2.9095 -3.8095 -5.2578 -0.10 0.57 0.12 0.3221
H -4.8259 2.1370 -1.0173 0.21 0.09 -0.02 0.5023
H -6.2944 2.4379 -3.2284 0.16 -0.22 -0.42 0.4679
H -4.9801 2.1948 -6.0729 0.28 0.31 -0.40 0.3234
H -4.5256 0.4645 -6.0524 0.47 -0.16 -0.25 0.3599
H -6.0947 0.9730 -5.5218 0.29 0.07 0.18 0.3472
O -2.6699 -0.6101 0.1889 -0.05 -2.16 1.12 -0.5560
S -1.1672 3.3331 1.3890 1.93 -2.10 -1.20 0.1996
O -0.8122 4.7324 1.1288 -0.36 0.86 0.08 -0.6576
N -0.2296 2.2674 0.3843 -1.92 0.46 0.26 -0.4397
C 1.1202 2.4504 0.2602 0.28 0.57 0.74 -0.2134
C 1.8032 3.4983 0.8833 -0.20 -0.40 -1.03 -0.1693
C 3.1853 3.5576 0.7653 1.36 -0.98 -1.19 -0.9246
C 3.9476 2.6751 -0.0192 -1.06 -0.22 -0.06 -1.1389
C 3.3056 1.5887 -0.7135 -1.47 1.39 1.32 0.8688
C 3.9237 0.6009 -1.4984 0.23 0.13 0.61 -0.6747
C 3.1786 -0.4799 -1.8981 1.12 1.17 -0.64 -1.2295
C 1.7991 -0.3858 -1.7561 0.30 -2.40 0.12 -0.0961
N 1.1458 0.4884 -1.0526 -0.52 0.22 -0.56 0.0842
C 1.8623 1.4821 -0.5062 1.13 0.76 0.35 0.1887
C -0.4819 2.8953 3.0341 -1.30 0.07 -0.64 0.9865
C -1.1795 3.5730 4.0366 0.55 -0.02 -0.47 -0.7415
C -0.9431 3.1678 5.3353 0.23 0.34 0.50 -0.4623
C -0.0977 2.0952 5.6463 0.49 0.12 0.27 -0.4157
C 0.5621 1.4049 4.6191 0.17 -0.46 0.15 -0.5981
C 0.3303 1.8096 3.2865 0.74 -0.89 0.48 -0.4363
H 1.2016 4.3247 1.2433 0.43 -0.18 0.48 0.6103
H 3.7381 4.3363 1.2442 0.11 0.52 0.29 0.4407
**Back to the page:**
The next United Methodist General Conference is set to take place April 23 to May 3, 2024, in Charlotte, North Carolina. General Conference is the top policymaking body for the denomination. As the official women’s organization of The United Methodist Church. United Women in Faith will be there to make sure no one makes decisions about us without us, and to ensure women, children, and youth are not overlooked.
One important way we express the concerns of women is by bringing legislation to the church with the aim to have our petitions become official policy statements. For the General Conference in 2024, we have submitted four new resolutions we hope pass and become part of The Book of Resolutions of The United Methodist Church and 11 current resolutions we hope are readopted. All resolutions must be readopted every eight years.
Our four new pieces of legislation focus on observing the Children’s Sabbath, protecting the girl child, protecting voting rights, and the status of women and realizing full human rights. The 11 resolutions set to expire address injustices that still need to be addressed by the church. We hope as well that delegates will support our amendment to the Book of Discipline allowing annual conference voting rights for retired deaconesses and home missioners.
United Women in Faith also supports regionalization and the work of our fellow boards and agencies in the church. Stay tuned for more in-depth discussion on regionalization to come.
At the table
Many members of United Women in Faith will be at General Conference as voting delegates, serving as partners and leaders in this crucial role for the future of our denomination. United Women in Faith members are dedicated Christians willing to learn what it means to love our neighbors and then put that love into action. General Conference is on way we inspire, influence, and impact our communities.
We’ll also be co-hosting, with the General Commission on the Status and Role of Women, a briefing for central conference women delegates the Saturday evening before General Conference begins and a larger briefing for all women delegates the Monday before. These briefings are a time for women delegates to meet one another, share thoughts and tips, and orient themselves further to the proceedings and the space. At the most recent General Conference in 2019, only 36 percent of delegates were women, despite women comprising 58 percent of church membership.

- - -
# 1
Formula: C62H162N8O23
Source: the Open Molecules 2025 dataset
Level of theory: ωB97M-V/def2-TZVPD

## Properties
ΔE to the lowest compared entry with this formula, charge and spin = 378.07 kJ/mol
HOMO-LUMO gap = 8.359 eV
Largest force on an atom = 3.37 eV Å⁻¹
Total charge = 0

Each line ends with the Mulliken charge.
Atoms and positions in Å:
C 28.343 23.145 19.813  -0.726
O 27.343 22.112 19.975  -0.342
C 26.902 21.914 21.366  -0.741
C 25.638 21.019 21.550  -0.291
N 25.786 19.766 20.802  -0.320
C 24.512 19.049 20.689  -0.928
C 23.867 18.752 22.062  -0.298
O 22.745 17.902 21.843  -0.149
C 22.007 17.529 22.973  -0.584
H 28.024 24.175 19.973  0.286
H 28.704 23.105 18.785  0.254
H 29.166 22.965 20.504  0.301
H 26.779 22.882 21.851  0.418
H 27.733 21.506 21.941  0.350
H 24.816 21.586 21.114  0.271
H 25.498 20.889 22.623  0.205
H 26.353 19.964 19.990  0.289
H 24.770 18.072 20.282  0.378
H 23.865 19.469 19.919  0.357
H 23.457 19.673 22.476  0.242
H 24.563 18.292 22.763  0.292
H 21.157 16.889 22.736  0.184
H 21.596 18.390 23.500  0.273
H 22.715 17.012 23.621  0.258
C 18.038 11.744 21.530  -0.830
O 16.720 12.224 21.186  -0.462
C 16.107 12.963 22.273  -0.871
C 14.653 13.336 21.870  -0.614
N 14.587 14.467 20.955  1.456
C 13.213 14.638 20.527  -0.805
C 12.972 16.069 19.985  1.260
O 11.589 16.541 19.996  -0.461
C 10.685 15.760 19.229  -0.811
H 18.430 11.117 20.730  0.200
H 18.054 11.170 22.456  0.401
H 18.694 12.614 21.569  0.215
H 16.662 13.847 22.586  0.199
H 16.032 12.349 23.171  0.616
H 14.203 13.619 22.821  0.434
H 14.108 12.478 21.478  0.344
H 15.017 14.006 20.166  -1.141
H 12.552 14.563 21.390  0.677
H 12.971 13.868 19.794  0.586
H 13.444 16.110 19.003  -0.430
H 13.483 16.821 20.584  -0.899
H 10.846 15.904 18.160  0.258
H 9.722 16.222 19.445  0.286
H 10.770 14.717 19.532  0.331
C 20.224 22.624 28.633  -0.920
O 21.577 22.282 28.226  0.099
C 22.541 22.235 29.275  -0.702
C 22.259 21.012 30.151  -0.880
N 22.475 19.728 29.456  0.455
C 23.858 19.313 29.359  -0.689
C 24.012 17.817 28.934  -0.728
O 23.673 17.674 27.565  -0.263
C 24.406 18.276 26.518  -0.235
H 19.772 23.185 27.815  0.139
H 20.163 23.202 29.555  0.458
H 19.727 21.663 28.763  0.189
H 22.366 23.142 29.854  0.486
H 23.578 22.198 28.943  0.333
H 21.236 21.061 30.522  0.304
H 22.862 21.144 31.050  0.490
H 22.240 19.971 28.504  -0.521
H 24.296 19.442 30.349  0.573
H 24.436 19.991 28.731  0.308
H 23.358 17.208 29.559  0.239
H 25.012 17.520 29.249  0.464
H 24.528 19.347 26.681  0.250
H 24.025 18.028 25.528  -0.276
H 25.400 17.831 26.551  0.413
C 14.701 19.524 18.860  -1.378
O 15.260 18.586 18.023  0.405
C 14.430 18.153 16.928  -0.625
C 15.366 17.599 15.825  -0.617
N 14.644 17.068 14.680  -0.198
C 14.067 18.116 13.854  -0.450
C 13.432 17.599 12.530  -0.737
O 14.396 16.787 11.842  -0.368
C 15.389 17.587 11.211  -0.660
H 15.329 19.800 19.707  0.012
H 13.822 19.072 19.320  0.555
H 14.387 20.443 18.364  0.623
H 13.941 19.042 16.531  0.478
H 13.653 17.439 17.203  0.199
H 16.054 16.871 16.254  -0.056
- - -
United Women in Faith plans to take a stand for climate justice at General Conference in 2024. But you don’t have to wait until then to join in the movement! Learn more about our Just Energy for All campaign and how we work together to help protect the most vulnerable (and all of us).
Each delegate will also be given a unique beaded pin created by Native American artists commissioned by United Women in Faith as a reminder of the hundreds of thousands of women praying for them.
Inviting others into the work
While the church is gathered together, United Women in Faith will also be consecrating 25 deaconesses and home missioners on Monday April 29 and hosting an action for climate justice. You’ll also see us during a plenary presentation and at our display and gathering space in the exhibit hall. We’ll be in the press room sharing news and insight as well, and serving as volunteers to help take care of people for the two weeks of meetings. We’ll share more details about how you can join in celebrating United Women in Faith as the conference gets closer.
What you can do
You’ve taken a great first step signing up for our Member Portal so that you can read this blog! Be sure as well to sign up for our General Conference newsletter. Our 154-year-old magazine, response, is also another great place to stay connected.
Be sure to listen and engage in conversations about General Conference. Be in the spaces where these conversations happen. Remind the church with your presence—and by saying so!—that United Women in Faith is crucial to its goal to make disciples of Christ for the transformation of the world. Continue to invite women into the sisterhood, by offering to be a mentor, inviting them to a Reading Program book group or Mission u book study, encouraging them to listen to our podcasts or sign up for our e-mails, or many other ways to let women in your life know that they are whole people, their voices are important, and they have a place to join with other women to help change the world.
Continue to pray. Pray for delegates and organizers. Pray for those most affected by the decisions made at General Conference. Pray for a church that uplifts women, children, and youth.
United Women in Faith has a vision of the kin-dom, and we are doing the work to see it through. We have shown the church that following God sometimes requires a bold leap. Keep the faith—you are needed for such a time as this.
Tara Barnes is director of denominational relations for United Women in Faith.